_Excerpt_
Theoretical powder XRD pattern of Sc2TiCo for λ = 1.5418 Å (Cu Kα), from a cell relaxed with PBE.

Crystal structure
```
4
Lattice="3.1131 0.0000 0.0000 0.0000 3.1131 0.0000 0.0000 0.0000 7.5608" Properties=species:S:1:pos:R:3 pbc="T T T"
Sc 0.0000 0.0000 0.0000
Sc 1.5565 1.5565 2.5600
Ti 1.5565 1.5565 5.4938
Co 0.0000 0.0000 4.1907
```

Main lines, by intensity (5 to 70 degrees two-theta):
2θ 37.4, rel. 100
2θ 41.0, rel. 51
2θ 11.7, rel. 42
2θ 46.4, rel. 23
2θ 59.4, rel. 16
2θ 42.8, rel. 7
2θ 35.6, rel. 6
2θ 65.0, rel. 6

~~~~~

(1)
Calculated X-ray diffraction stick pattern
Compound: Li2SbI4
Radiation: a wavelength of 1.5418 Å
Structure: the GGA-PBE geometry in Alexandria

Crystal structure
```
data_Li2SbI4
_cell_length_a 7.481
_cell_length_b 7.481
_cell_length_c 9.168
_cell_angle_alpha 90.00
_cell_angle_beta 90.00
_cell_angle_gamma 90.00
_symmetry_space_group_name_H-M 'I -4 2 m'
_symmetry_Int_Tables_number 121
_symmetry_space_group_name_Hall 'I -4 2'
loop_
_atom_site_label
_atom_site_fract_x
_atom_site_fract_y
_atom_site_fract_z
Li1 0.000 0.500 0.250
Sb1 0.000 0.000 0.000
I1 0.230 0.230 0.619
```

The 6 most intense peaks (2θ from 10° to 90°), most intense first:
- 2θ = 25.72°, rel. 100
- 2θ = 43.03°, rel. 45
- 2θ = 33.89°, rel. 34
- 2θ = 23.79°, rel. 29
- 2θ = 46.46°, rel. 28
- 2θ = 28.40°, rel. 20

***

(2)
Calculated X-ray diffraction stick pattern
Compound: Li2SbI5
Radiation: a wavelength of 1.5418 Å
Structure: the GGA-PBE geometry in Alexandria

Crystal structure
```
data_Li2SbI5
_cell_length_a 13.900
_cell_length_b 6.165
_cell_length_c 9.545
_cell_angle_alpha 90.00
_cell_angle_beta 133.07
_cell_angle_gamma 90.00
_symmetry_space_group_name_H-M 'C 1 2 1'
_symmetry_Int_Tables_number 5
loop_
_symmetry_equiv_pos_as_xyz
'x,y,z'
'-x,y,-z'
'x+1/2,y+1/2,z'
'-x+1/2,y+1/2,-z'
loop_
_atom_site_label
_atom_site_fract_x
_atom_site_fract_y
_atom_site_fract_z
Li1 0.187 0.000 0.307
Sb1 0.000 0.013 0.500
I1 0.000 0.488 0.500
I2 0.079 0.996 0.882
I3 0.214 0.501 0.311
```

The 6 most intense peaks (2θ from 10° to 90°), most intense first:
- 2θ = 24.52°, rel. 100
- 2θ = 25.21°, rel. 99
- 2θ = 28.02°, rel. 79
- 2θ = 29.38°, rel. 79
- 2θ = 28.97°, rel. 79
- 2θ = 41.73°, rel. 61

***

(3)
Calculated X-ray diffraction stick pattern
Compound: LiSeI3
Radiation: a wavelength of 1.5418 Å
Structure: the GGA-PBE geometry in Alexandria

Crystal structure
```
data_LiSeI3
_cell_length_a 7.808
_cell_length_b 7.819
_cell_length_c 16.447
_cell_angle_alpha 97.21
_cell_angle_beta 103.43
_cell_angle_gamma 90.03
_symmetry_space_group_name_H-M 'P -1'
_symmetry_Int_Tables_number 2
loop_
_symmetry_equiv_pos_as_xyz
'x,y,z'
'-x,-y,-z'
loop_
_atom_site_label
_atom_site_fract_x
_atom_site_fract_y
_atom_site_fract_z
Li1 0.102 0.380 0.230
Li2 0.386 0.619 0.770
Se1 0.162 0.150 0.811
Se2 0.383 0.875 0.281
I1 0.103 0.394 0.691
I2 0.191 0.826 0.870
I3 0.231 0.346 0.952
I4 0.322 0.568 0.159
I5 0.409 0.234 0.332
I6 0.454 0.762 0.423
```

The 6 most intense peaks (2θ from 10° to 90°), most intense first:
- 2θ = 22.78°, rel. 100
- 2θ = 14.10°, rel. 33
- 2θ = 20.37°, rel. 32
- 2θ = 26.11°, rel. 31
- 2θ = 26.65°, rel. 27
- 2θ = 26.55°, rel. 26

***

(4)
Calculated X-ray diffraction stick pattern
Compound: LiSeI
Radiation: a wavelength of 1.5418 Å
Structure: the GGA-PBE geometry in Alexandria

Crystal structure
```
data_LiSeI
_cell_length_a 3.319
_cell_length_b 7.734
_cell_length_c 8.141
_cell_angle_alpha 68.96
_cell_angle_beta 89.97
_cell_angle_gamma 89.14
_symmetry_space_group_name_H-M 'P -1'
_symmetry_Int_Tables_number 2
loop_
_symmetry_equiv_pos_as_xyz
'x,y,z'
'-x,-y,-z'
loop_
_atom_site_label
_atom_site_fract_x
_atom_site_fract_y
_atom_site_fract_z
Li1 0.002 0.451 0.298
Se1 0.495 0.649 0.897
I1 0.011 0.210 0.653
```

The 6 most intense peaks (2θ from 10° to 90°), most intense first:
- 2θ = 22.19°, rel. 100
- 2θ = 30.29°, rel. 56
- 2θ = 23.18°, rel. 47
- 2θ = 19.77°, rel. 44
- 2θ = 24.67°, rel. 34
- 2θ = 30.08°, rel. 33

***

(5)
Calculated X-ray diffraction stick pattern

_Brief_
Next, set down everything further above exactly.

_Response_
Theoretical powder XRD pattern of Sc2TiCo for λ = 1.5418 Å (Cu Kα), from a cell relaxed with PBE.

Crystal structure
```
4
Lattice="3.1131 0.0000 0.0000 0.0000 3.1131 0.0000 0.0000 0.0000 7.5608" Properties=species:S:1:pos:R:3 pbc="T T T"
Sc 0.0000 0.0000 0.0000
Sc 1.5565 1.5565 2.5600
Ti 1.5565 1.5565 5.4938
Co 0.0000 0.0000 4.1907
```

Main lines, by intensity (5 to 70 degrees two-theta):
2θ 37.4, rel. 100
2θ 41.0, rel. 51
2θ 11.7, rel. 42
2θ 46.4, rel. 23
2θ 59.4, rel. 16
2θ 42.8, rel. 7
2θ 35.6, rel. 6
2θ 65.0, rel. 6

~~~~~

(1)
Calculated X-ray diffraction stick pattern
Compound: Li2SbI4
Radiation: a wavelength of 1.5418 Å
Structure: the GGA-PBE geometry in Alexandria

Crystal structure
```
data_Li2SbI4
_cell_length_a 7.481
_cell_length_b 7.481
_cell_length_c 9.168
_cell_angle_alpha 90.00
_cell_angle_beta 90.00
_cell_angle_gamma 90.00
_symmetry_space_group_name_H-M 'I -4 2 m'
_symmetry_Int_Tables_number 121
_symmetry_space_group_name_Hall 'I -4 2'
loop_
_atom_site_label
_atom_site_fract_x
_atom_site_fract_y
_atom_site_fract_z
Li1 0.000 0.500 0.250
Sb1 0.000 0.000 0.000
I1 0.230 0.230 0.619
```

The 6 most intense peaks (2θ from 10° to 90°), most intense first:
- 2θ = 25.72°, rel. 100
- 2θ = 43.03°, rel. 45
- 2θ = 33.89°, rel. 34
- 2θ = 23.79°, rel. 29
- 2θ = 46.46°, rel. 28
- 2θ = 28.40°, rel. 20

***

(2)
Calculated X-ray diffraction stick pattern
Compound: Li2SbI5
Radiation: a wavelength of 1.5418 Å
Structure: the GGA-PBE geometry in Alexandria

Crystal structure
```
data_Li2SbI5
_cell_length_a 13.900
_cell_length_b 6.165
_cell_length_c 9.545
_cell_angle_alpha 90.00
_cell_angle_beta 133.07
_cell_angle_gamma 90.00
_symmetry_space_group_name_H-M 'C 1 2 1'
_symmetry_Int_Tables_number 5
loop_
_symmetry_equiv_pos_as_xyz
'x,y,z'
'-x,y,-z'
'x+1/2,y+1/2,z'
'-x+1/2,y+1/2,-z'
loop_
_atom_site_label
_atom_site_fract_x
_atom_site_fract_y
_atom_site_fract_z
Li1 0.187 0.000 0.307
Sb1 0.000 0.013 0.500
I1 0.000 0.488 0.500
I2 0.079 0.996 0.882
I3 0.214 0.501 0.311
```

The 6 most intense peaks (2θ from 10° to 90°), most intense first:
- 2θ = 24.52°, rel. 100
- 2θ = 25.21°, rel. 99
- 2θ = 28.02°, rel. 79
- 2θ = 29.38°, rel. 79
- 2θ = 28.97°, rel. 79
- 2θ = 41.73°, rel. 61

***

(3)
Calculated X-ray diffraction stick pattern
Compound: LiSeI3
Radiation: a wavelength of 1.5418 Å
Structure: the GGA-PBE geometry in Alexandria

Crystal structure
```
data_LiSeI3
_cell_length_a 7.808
_cell_length_b 7.819
_cell_length_c 16.447
_cell_angle_alpha 97.21
_cell_angle_beta 103.43
_cell_angle_gamma 90.03
_symmetry_space_group_name_H-M 'P -1'
_symmetry_Int_Tables_number 2
loop_
_symmetry_equiv_pos_as_xyz
'x,y,z'
'-x,-y,-z'
loop_
_atom_site_label
_atom_site_fract_x
_atom_site_fract_y
_atom_site_fract_z
Li1 0.102 0.380 0.230
Li2 0.386 0.619 0.770
Se1 0.162 0.150 0.811
Se2 0.383 0.875 0.281
I1 0.103 0.394 0.691
I2 0.191 0.826 0.870
I3 0.231 0.346 0.952
I4 0.322 0.568 0.159
I5 0.409 0.234 0.332
I6 0.454 0.762 0.423
```

The 6 most intense peaks (2θ from 10° to 90°), most intense first:
- 2θ = 22.78°, rel. 100
- 2θ = 14.10°, rel. 33
- 2θ = 20.37°, rel. 32
- 2θ = 26.11°, rel. 31
- 2θ = 26.65°, rel. 27
- 2θ = 26.55°, rel. 26

***

(4)
Calculated X-ray diffraction stick pattern
Compound: LiSeI
Radiation: a wavelength of 1.5418 Å
Structure: the GGA-PBE geometry in Alexandria

Crystal structure
```
data_LiSeI
_cell_length_a 3.319
_cell_length_b 7.734
_cell_length_c 8.141
_cell_angle_alpha 68.96
_cell_angle_beta 89.97
_cell_angle_gamma 89.14
_symmetry_space_group_name_H-M 'P -1'
_symmetry_Int_Tables_number 2
loop_
_symmetry_equiv_pos_as_xyz
'x,y,z'
'-x,-y,-z'
loop_
_atom_site_label
_atom_site_fract_x
_atom_site_fract_y
_atom_site_fract_z
Li1 0.002 0.451 0.298
Se1 0.495 0.649 0.897
I1 0.011 0.210 0.653
```

The 6 most intense peaks (2θ from 10° to 90°), most intense first:
- 2θ = 22.19°, rel. 100
- 2θ = 30.29°, rel. 56
- 2θ = 23.18°, rel. 47
- 2θ = 19.77°, rel. 44
- 2θ = 24.67°, rel. 34
- 2θ = 30.08°, rel. 33

***

(5)
Calculated X-ray diffraction stick pattern